(File)
┌──
Structure and theoretical powder XRD pattern of Li3Fe9O5F11 (the PBE+U geometry in the Materials Project; Cu Ka).
Kinematic intensities with the Lorentz-polarization factor, no thermal factor.

The 8 most intense peaks (2θ from 15° to 90°), most intense first:
hkl	two_theta	d (Å)	I/Imax
1 1 -3	33.61	2.666	100
0 1 -3	28.69	3.112	69
2 2 -2	58.17	1.586	60
2 0 -2	33.75	2.655	57
1 1 1	32.86	2.726	39
-1 1 3	28.96	3.083	39
-2 1 3	34.39	2.608	36
2 -2 0	34.16	2.625	36

Cell and atoms:
```
Li3Fe9O5F11
1.0
6.1617 0.0000 0.0000
-2.9514 5.4767 0.0000
-2.8658 -1.6709 10.2044
Li Fe O F
3 9 5 11
direct
0.0000 0.0000 0.0000
0.0052 0.4846 0.0014
0.0331 0.2310 0.2306
0.0270 0.5149 0.4965
0.0279 0.7375 0.7420
0.0328 0.0004 0.4957
0.3947 0.4216 0.7818
0.4243 0.9258 0.2865
0.5256 0.9905 0.0064
0.5312 0.4966 0.4951
0.6170 0.0967 0.6832
0.6564 0.6090 0.1961
0.2504 0.8669 0.6239
0.2532 0.3622 0.5884
0.7707 0.9057 0.1179
└──

(Work order)
What is needed: quote the part of the calculation results earlier on that starts with the line with "28.69" and stops after the one with "28.96".

(Result)
0 1 -3	28.69	3.112	69
2 2 -2	58.17	1.586	60
2 0 -2	33.75	2.655	57
1 1 1	32.86	2.726	39
-1 1 3	28.96	3.083	39